Top 5 Trademarking Hints and Tips

Trademarking a word, sign, logo or sign may seem like a relatively easy process. However, there are many traps and tricks which can lead to trade marks (TMs) applications being rejected by the Australian Trade Mark Office (IP Australia). Even worse, your business’s name, logo, or slogan may be infringing someone else’s rights and you may be subject to legal proceedings or award of damages against you.

1)      Always Search

Before deciding to use a new TM, you should conduct searches of the Australian Business Name and Company Register in the ASIC website; Google searches; and trade mark register searches through IP Australia’s database. Please note that ASIC and IP Australia’s database only relate to TMs and names in Australia and you have to search overseas databases, if you are considering in seeking protection overseas.

Also searching logos, images, shapes, smells and sounds is a difficult task and you should discuss your TM searching needs with a qualified lawyer or trade mark attorney before deciding on a specific TM. If you do find a conflicting TM, you may want have a lawyer review the matter to check whether there are differences that you are unaware of.

2)      Use a Distinctive TM

When choosing a TM, look for a TM that is distinctive when compared to the goods or services that you are applying it to. Distinctive TMs are easy to enforce and cheaper to prosecute through the Australian Trade Mark Office. Distinctive TMs have a better chance at being registered.

3)      Know what you are applying to TM to?

You the scope of goods and services that you plan to use your TM for. The specification of goods and services included all TM applications limits the protection to the fields you specify in your application. You should broadly apply for goods and services that cover all of the items that your business produces now and is likely to produce in the future.

Maximise your TM protection by filing reasonable broad specifications of goods and services. Alder IP is happy to assist clients to develop a broad specification for their TM applications.

4)      Generic Use Prevention

Don’t use your trade mark in a generic way. If your trade mark becomes the standard term for an item, the word is said to be generic. Once a trade mark becomes generic, other traders are allowed to use it just like any other ordinary word for an item.

There are lots of examples of famous trade marks that have become generic in Australia including:

Crystal structures that have nothing to do with the piece
____________
! RbNdW2O8, optimized geometry, DFT GGA+U; values from VASP
! Total moment in μB per formula unit: 0.00
! Crystal system: monoclinic
&SYSTEM
  ibrav = 0, nat = 24, ntyp = 4
/
ATOMIC_SPECIES
Rb 85.47 Rb.upf
Nd 144.24 Nd.upf
W 183.84 W.upf
O 16.00 O.upf
ATOMIC_POSITIONS crystal
Rb 0.202 0.798 0.750
Rb 0.798 0.202 0.250
Nd 0.775 0.225 0.750
Nd 0.225 0.775 0.250
W 0.697 0.687 0.781
W 0.687 0.697 0.281
W 0.303 0.313 0.219
W 0.313 0.303 0.719
O 0.372 0.587 0.472
O 0.052 0.218 0.808
O 0.379 0.068 0.865
O 0.068 0.379 0.365
O 0.623 0.748 0.561
O 0.252 0.377 0.939
O 0.932 0.621 0.635
O 0.628 0.413 0.528
O 0.218 0.052 0.308
O 0.948 0.782 0.192
O 0.587 0.372 0.972
O 0.621 0.932 0.135
O 0.377 0.252 0.439
O 0.748 0.623 0.061
O 0.782 0.948 0.692
O 0.413 0.628 0.028
CELL_PARAMETERS angstrom
5.455 5.521 0.000
-5.455 5.521 0.000
0.000 4.888 5.810



! Li2Ti4NiP4O20, optimized geometry, DFT GGA+U; values from VASP
! Total moment in μB per formula unit: 2.00
! Crystal system: triclinic
! Offset from the most stable computed form in meV/atom: 0.0
&SYSTEM
  ibrav = 0, nat = 31, ntyp = 5
/
ATOMIC_SPECIES
Li 6.94 Li.upf
Ti 47.87 Ti.upf
Ni 58.69 Ni.upf
P 30.97 P.upf
O 16.00 O.upf
ATOMIC_POSITIONS crystal
Li 0.000 0.000 0.000
Li 0.500 0.000 0.000
Ti 0.236 0.774 0.660
Ti 0.251 0.719 0.160
Ti 0.749 0.281 0.840
Ti 0.764 0.226 0.340
Ni 0.500 0.500 0.500
P 0.254 0.369 0.872
P 0.250 0.125 0.373
P 0.750 0.875 0.627
P 0.746 0.631 0.128
O 0.056 0.249 0.862
O 0.058 0.247 0.371
O 0.251 0.010 0.546
O 0.248 0.486 0.045
O 0.245 0.836 0.886
O 0.279 0.656 0.384
O 0.272 0.496 0.704
O 0.251 0.000 0.203
O 0.442 0.242 0.880
O 0.442 0.254 0.369
O 0.558 0.746 0.631
O 0.558 0.758 0.120
O 0.749 0.000 0.797
O 0.728 0.504 0.296
O 0.721 0.344 0.616
O 0.755 0.164 0.114
O 0.752 0.514 0.955
O 0.749 0.990 0.454
O 0.942 0.753 0.629
O 0.944 0.751 0.138
CELL_PARAMETERS angstrom
-3.275 4.545 -3.232
-6.206 -2.510 2.953
0.873 4.651 5.726



! Li9Mn2Co5O16, optimized geometry, DFT GGA+U; values from VASP
! Total moment in μB per formula unit: 12.00
! Crystal system: triclinic
! Offset from the most stable computed form in meV/atom: 34.3
&SYSTEM
  ibrav = 0, nat = 32, ntyp = 4
/
ATOMIC_SPECIES
Li 6.94 Li.upf
Mn 54.94 Mn.upf
Co 58.93 Co.upf
O 16.00 O.upf
ATOMIC_POSITIONS crystal
Li 0.252 0.995 0.247
Li 0.256 0.256 0.754
Li 0.244 0.503 0.246
Li 0.744 0.259 0.244
Li 0.754 0.496 0.754
Li 0.756 0.746 0.248
Li 0.244 0.744 0.754
Li 0.752 0.004 0.753
Li 0.001 0.500 0.999
Mn 0.997 0.003 0.001
Mn 0.000 0.250 0.499
Co 0.000 0.750 0.501
Co 0.501 0.502 0.500
Co 0.499 0.746 0.999
Co 0.499 0.997 0.500
Co 0.494 0.257 0.998
O 0.135 0.762 0.111
O 0.141 0.015 0.619
O 0.144 0.229 0.108
O 0.642 0.025 0.116
O 0.639 0.246 0.614
O 0.596 0.494 0.105
O 0.137 0.523 0.617
O 0.642 0.744 0.614
O 0.363 0.254 0.384
O 0.391 0.473 0.881
O 0.359 0.754 0.386
O 0.860 0.484 0.379
O 0.863 0.773 0.894
O 0.862 0.975 0.385
O 0.372 0.003 0.895
O 0.860 0.237 0.890
CELL_PARAMETERS angstrom
-2.350 1.791 -4.006
2.966 -3.704 -3.607
-7.663 -6.132 -0.581
____________
The piece goes on

Caplets for tablets;

Kleenex for tissues;

Escalators for passenger conveyors

You can avoid your TM becoming generic by labelling with the ™ logo or ® logo. Also you should avoid using your TM as a noun but rather as an abjective to describe your item.

5)      Be Proactive

One of the main reasons, TM applications often lapse is because the person applying for the TM forgot a deadline or simply didn’t leave enough time to respond to the Trade Mark Office. If you are applying for a TM, make yourself aware of the deadlines and note these deadlines in your diary so you don’t forget or lose them. One of the advantages of using a law firm such as Alder IP to file and manage your trade marks is that we use a computer database to automatically monitor the deadlines of your trade marks.